Diffraction record for Ba3Na3C5O15. The X-ray powder pattern is computed, not measured: it uses a crystal structure in the Materials Project, relaxed with PBE and λ = 1.5418 Å (Cu Kα).
Peak positions follow from Bragg's law for the DFT cell and can differ from measured ones.

Crystal structure
```
Ba3Na3C5O15
1.0
11.0446 0.0000 0.0000
-5.5223 9.5649 0.0000
0.0000 0.0000 6.8912
Ba Na C O
6 6 10 30
Direct
0.1585 0.3170 0.0000
0.1585 0.8415 0.0000
0.3170 0.1585 0.5000
0.6830 0.8415 0.0000
0.8415 0.1585 0.5000
0.8415 0.6830 0.5000
0.0500 0.5250 0.6844
0.4750 0.5250 0.6844
0.4750 0.9500 0.6844
0.5250 0.0500 0.1844
0.5250 0.4750 0.1844
0.9500 0.4750 0.1844
0.0000 0.0000 0.1731
0.0000 0.0000 0.6731
0.2055 0.4110 0.4652
0.2055 0.7945 0.4652
0.3333 0.6667 0.0071
0.4110 0.2055 0.9652
0.5890 0.7945 0.4652
0.6667 0.3333 0.5071
0.7945 0.2055 0.9652
0.7945 0.5890 0.9652
0.0678 0.1357 0.6704
0.0678 0.9322 0.6704
0.0916 0.3877 0.3767
0.0916 0.7039 0.3767
0.1357 0.0678 0.1704
0.1976 0.5988 0.0072
0.2285 0.4570 0.6411
0.2285 0.7715 0.6411
0.2961 0.3877 0.3767
0.2961 0.9084 0.3767
0.3877 0.0916 0.8767
0.3877 0.2961 0.8767
0.4012 0.5988 0.0072
0.4012 0.8024 0.0072
0.4570 0.2285 0.1411
0.5430 0.7715 0.6411
0.5988 0.1976 0.5072
0.5988 0.4012 0.5072
0.6123 0.7039 0.3767
0.6123 0.9084 0.3767
0.7039 0.0916 0.8767
0.7039 0.6123 0.8767
0.7715 0.2285 0.1411
0.7715 0.5430 0.1411
0.8024 0.4012 0.5072
0.8643 0.9322 0.6704
0.9084 0.2961 0.8767
0.9084 0.6123 0.8767
0.9322 0.0678 0.1704
0.9322 0.8643 0.1704
```

Top 6 peaks for 10 to 90 degrees two-theta, low angle first:
2θ/deg  intensity
22.6  100
27.9  66
32.0  64
32.4  68
39.9  70
41.9  48



Diffraction record for BaNa6ThC6O24. The X-ray powder pattern is computed, not measured: it uses a crystal structure in the Materials Project, relaxed with PBE and λ = 1.5418 Å (Cu Kα).
Peak positions follow from Bragg's law for the DFT cell and can differ from measured ones.

Crystal structure
```
BaNa6ThC6O24
1.0
6.9434 4.0088 2.8931
-6.9434 4.0088 2.8931
0.0000 -8.0176 2.8931
Ba Na Th C O
1 6 1 6 24
Direct
0.0000 0.0000 0.0000
0.0367 0.5499 0.3037
0.3037 0.0367 0.5499
0.4501 0.6963 0.9633
0.5499 0.3037 0.0367
0.6963 0.9633 0.4501
0.9633 0.4501 0.6963
0.5000 0.5000 0.5000
0.1266 0.2847 0.4846
0.2847 0.4846 0.1266
0.4846 0.1266 0.2847
0.5154 0.8734 0.7153
0.7153 0.5154 0.8734
0.8734 0.7153 0.5154
0.0262 0.8143 0.5173
0.1027 0.7740 0.1714
0.1714 0.1027 0.7740
0.1857 0.4827 0.9738
0.2019 0.4683 0.5632
0.2066 0.4099 0.2106
0.2106 0.2066 0.4099
0.2260 0.8286 0.8973
0.4099 0.2106 0.2066
0.4368 0.7981 0.5317
0.4683 0.5632 0.2019
0.4827 0.9738 0.1857
0.5173 0.0262 0.8143
0.5317 0.4368 0.7981
0.5632 0.2019 0.4683
0.5901 0.7894 0.7934
0.7740 0.1714 0.1027
0.7894 0.7934 0.5901
0.7934 0.5901 0.7894
0.7981 0.5317 0.4368
0.8143 0.5173 0.0262
0.8286 0.8973 0.2260
0.8973 0.2260 0.8286
0.9738 0.1857 0.4827
```

Top 6 peaks for 10 to 90 degrees two-theta, low angle first:
2θ/deg  intensity
12.7  100
22.2  32
25.3  31
28.4  40
34.2  36
38.7  43



Diffraction record for BaCO3. The X-ray powder pattern is computed, not measured: it uses a crystal structure in the Materials Project, relaxed with PBE and λ = 1.5418 Å (Cu Kα).
Peak positions follow from Bragg's law for the DFT cell and can differ from measured ones.

Crystal structure
```
BaCO3
1.0
4.4862 0.0000 0.0000
0.0000 7.0609 0.0000
0.0000 0.0000 5.4667
Ba C O
2 2 6
Direct
0.0000 0.0000 0.0000
0.5000 0.5000 0.5000
0.0000 0.5000 0.0107
0.5000 0.0000 0.5107
0.0000 0.5000 0.7729
0.1353 0.3663 0.1396
0.3647 0.8663 0.6396
0.5000 0.0000 0.2729
0.6353 0.1337 0.6396
0.8647 0.6337 0.1396
```

Top 6 peaks for 10 to 90 degrees two-theta, low angle first:
2θ/deg  intensity
20.5  67
25.2  50
25.7  100
36.3  64
40.7  44
41.8  37



Diffraction record for BaCO3. The X-ray powder pattern is computed, not measured: it uses a crystal structure in the Materials Project, relaxed with PBE and λ = 1.5418 Å (Cu Kα).

Next, give back every line earlier on that contains the word "Crystal".

Crystal structure
Crystal structure
Crystal structure